Assignment:
Next, search the entries underneath for the word "Fd-3m" and return each line that has it.

Entries:
- - -
Entry 1:
AgSbO12: relaxed, PBE.

abc: 7.666 7.666 7.436
angles: 90.00 90.00 90.00
Positions (direct):
Ag: 0.000 0.000 0.000
Ag: 0.500 0.500 0.500
Sb: 0.000 0.000 0.500
Sb: 0.500 0.500 0.000
O: 0.627 0.147 0.991
O: 0.373 0.853 0.991
O: 0.647 0.873 0.491
O: 0.873 0.353 0.509
O: 0.353 0.127 0.491
O: 0.127 0.647 0.509
O: 0.853 0.627 0.009
O: 0.147 0.373 0.009
O: 0.283 0.976 0.051
O: 0.717 0.024 0.051
O: 0.476 0.217 0.551
O: 0.217 0.524 0.449
O: 0.524 0.783 0.551
O: 0.783 0.476 0.449
O: 0.024 0.283 0.949
O: 0.976 0.717 0.949
O: 0.178 0.081 0.662
O: 0.822 0.919 0.662
O: 0.581 0.322 0.162
O: 0.322 0.419 0.838
O: 0.419 0.678 0.162
O: 0.678 0.581 0.838
O: 0.919 0.178 0.338
O: 0.081 0.822 0.338

Computed properties:
SG   P4_2/n
Distance to the lowest polymorph of the same formula   0.00 eV per formula unit

Entry 2:
AgSbO3: relaxed, PBE.

abc: 7.371 7.371 7.371
angles: 60.00 60.00 60.00
Positions (direct):
Ag: 0.625 0.125 0.125
Ag: 0.125 0.625 0.125
Ag: 0.125 0.125 0.625
Ag: 0.125 0.125 0.125
Sb: 0.125 0.625 0.625
Sb: 0.625 0.125 0.625
Sb: 0.625 0.625 0.125
Sb: 0.625 0.625 0.625
O: 0.701 0.701 0.299
O: 0.299 0.299 0.701
O: 0.701 0.299 0.701
O: 0.299 0.701 0.299
O: 0.299 0.701 0.701
O: 0.701 0.299 0.299
O: 0.549 0.549 0.951
O: 0.951 0.951 0.549
O: 0.549 0.951 0.549
O: 0.951 0.549 0.951
O: 0.951 0.549 0.549
O: 0.549 0.951 0.951

Computed properties:
SG   Fd-3m

Entry 3:
AgSbO3: relaxed, PBE.

abc: 8.102 8.348 13.443
angles: 90.76 90.34 109.32
Positions (direct):
Ag: 0.159 0.494 0.499
Ag: 0.553 0.552 0.355
Ag: 0.956 0.043 0.074
Ag: 0.844 0.845 0.842
Ag: 0.797 0.783 0.210
Ag: 0.324 0.023 0.997
Ag: 0.524 0.750 0.539
Ag: 0.305 0.303 0.701
Ag: 0.629 0.466 0.557
Ag: 0.008 0.368 0.989
Ag: 0.493 0.103 0.494
Ag: 0.999 0.722 0.017
Sb: 0.662 0.319 0.163
Sb: 0.091 0.576 0.249
Sb: 0.161 0.828 0.668
Sb: 0.423 0.583 0.078
Sb: 0.067 0.905 0.416
Sb: 0.588 0.091 0.754
Sb: 0.410 0.910 0.248
Sb: 0.914 0.075 0.580
Sb: 0.586 0.424 0.916
Sb: 0.835 0.173 0.331
Sb: 0.918 0.416 0.748
Sb: 0.342 0.677 0.829
O: 0.053 0.378 0.337
O: 0.692 0.307 0.017
O: 0.678 0.319 0.314
O: 0.879 0.535 0.162
O: 0.524 0.473 0.185
O: 0.558 0.886 0.834
O: 0.967 0.682 0.348
O: 0.187 0.474 0.136
O: 0.179 0.797 0.521
O: 0.178 0.805 0.178
O: 0.185 0.822 0.818
O: 0.839 0.853 0.498
O: 0.327 0.677 0.318
O: 0.302 0.008 0.357
O: 0.375 0.045 0.665
O: 0.532 0.803 0.149
O: 0.009 0.968 0.691
O: 0.969 0.015 0.309
O: 0.469 0.194 0.854
O: 0.620 0.963 0.334
O: 0.681 0.986 0.641
O: 0.677 0.321 0.684
O: 0.131 0.118 0.501
O: 0.826 0.182 0.179
O: 0.365 0.370 0.994
O: 0.825 0.191 0.818
O: 0.810 0.192 0.477
O: 0.825 0.530 0.860
O: 0.028 0.308 0.641
O: 0.451 0.107 0.158
O: 0.491 0.533 0.806
O: 0.135 0.460 0.829
O: 0.650 0.641 0.000
O: 0.324 0.688 0.676
O: 0.314 0.697 0.976
O: 0.951 0.615 0.664

Computed properties:
SG   P1

Entry 4:
ScAgO3: relaxed, PBE.

abc: 6.489 6.489 3.220
angles: 90.00 90.00 103.22
Positions (direct):
Sc: 0.000 0.500 0.500
Sc: 0.500 0.000 0.500
Ag: 0.000 0.000 0.000
Ag: 0.500 0.500 0.000
O: 0.036 0.313 0.000
O: 0.313 0.036 0.000
O: 0.364 0.636 0.500
O: 0.636 0.364 0.500
O: 0.964 0.687 0.000
O: 0.687 0.964 0.000

Computed properties:
SG   Cmmm

Entry 5:
ScAgO2: relaxed, PBE.

abc: 3.241 3.241 12.523
angles: 90.00 90.00 120.00
Positions (direct):
Sc: 0.000 0.000 0.000
Sc: 0.000 0.000 0.500
Ag: 0.667 0.333 0.750
Ag: 0.333 0.667 0.250
O: 0.333 0.667 0.418
O: 0.667 0.333 0.918
O: 0.333 0.667 0.082
O: 0.667 0.333 0.582

Computed properties:
SG   P6_3/mmc

Entry 6:
ScAgO2: relaxed, PBE.

abc: 3.239 3.239 6.539
angles: 75.66 75.66 60.00
Positions (direct):
Sc: 0.500 0.500 0.500
Ag: 0.000 0.000 0.000
O: 0.112 0.112 0.664
O: 0.888 0.888 0.336

Computed properties:
SG   R-3m

Entry 7:
ScAgO2: relaxed, PBE.

abc: 6.420 6.420 6.420
angles: 28.79 28.79 28.79
Positions (direct):
Sc: 0.002 0.002 0.002
Ag: 0.842 0.842 0.842
O: 0.723 0.723 0.723
O: 0.274 0.274 0.274

Computed properties:
SG   R3m

Entry 8:
UAg2Se2O8: relaxed, PBE.

abc: 6.633 5.999 21.690
angles: 80.49 90.00 90.00
Positions (direct):
- - -

Result:
SG   Fd-3m